## Wanted
Quote all of the calculation results further down without altering anything.
## Listing
........
The following is a PBE calculation of a relaxed structure of TlAu2Cl8, from Alexandria.

- calculated volume (A^3/atom) = 31.8
- ρ (g/cm3) = 4.2
- formation energy from raw total energies (eV/atom) = -0.224
- D(E_F) (states/eV/cell) = 3.743
- total magnetization (μB per cell) = 0.0
- DFT total energy (eV per atom) = -2.38
- SG = C2/m

Cell: 7.5005 7.2715 7.2715 Å, 67.56 75.60 75.60°
Last column: nearest neighbours and their distance in Å.
Sites, in units of the cell vectors:
Cl 0.2195 0.3053 0.9076  1 Au 2.36
Cl 0.2742 0.4244 0.4244  1 Au 2.26
Cl 0.7805 0.6947 0.0924  1 Au 2.36
Au 0.2429 0.2438 0.2438  3 Cl 2.26-2.36
Au 0.7571 0.7562 0.7562  3 Cl 2.26-2.36
Cl 0.7460 0.1758 0.1758  1 Tl 2.39
Cl 0.7805 0.0924 0.6947  1 Au 2.36
Cl 0.7258 0.5756 0.5756  1 Au 2.26
Cl 0.2540 0.8242 0.8242  1 Tl 2.39
Tl 0.0000 0.0000 0.0000  2 Cl 2.39
Cl 0.2195 0.9076 0.3053  1 Au 2.36

The following is a PBE calculation of a relaxed structure of Y2CrCu, from Alexandria.

- calculated volume (A^3/atom) = 22.1
- ρ (g/cm3) = 5.5
- calculated formation energy (kcal/mol of atoms) = 2.25
- D(E_F) (states/eV/cell) = 3.199
- total magnetization (μB per cell) = 3.7
- DFT total energy (eV per atom) = -6.56
- SG = P4/mmm

Cell: 4.9858 4.9858 3.5572 Å, 90.00 90.00 90.01°
Last column: nearest neighbours and their distance in Å.
Sites, in units of the cell vectors:
Cu 0.0000 0.5000 0.5000  8 Y 3.06
Y 0.5000 0.5000 0.0000  4 Cr 3.06, 4 Cu 3.06
Cr 0.5000 0.0000 0.5000  8 Y 3.06
Y 0.0000 0.0000 0.0000  4 Cu 3.06, 4 Cr 3.06

The following is a PBE calculation of a relaxed structure of BaBe2Cr, from Alexandria.

- energy above the most stable polymorph in this dataset (eV per atom) = 0.392
- calculated volume (A^3/atom) = 22.6
- ρ (g/cm3) = 3.8
- calculated formation energy (kcal/mol of atoms) = 18.48
- D(E_F) (states/eV/cell) = 1.822
- total magnetization (μB per cell) = 3.7
- DFT total energy (eV per atom) = -3.95
- SG = Imm2

Cell: 5.2713 5.2713 5.2713 Å, 136.40 111.63 84.68°
Last column: nearest neighbours and their distance in Å.
Sites, in units of the cell vectors:
Cr 0.5929 0.5929 0.0000  3 Be 2.32-2.46
Ba 0.2331 0.7331 0.5000  4 Cr 3.16-3.42, 5 Be 3.20-3.50
Be 0.8900 0.8900 0.0000  2 Be 2.12, 1 Cr 2.32
Be 0.7840 0.2840 0.5000  2 Be 2.12

The following is a PBE calculation of a relaxed structure of La3Pr2Er4, from Alexandria.

- energy above the most stable polymorph in this dataset (eV per atom) = 0.000
- calculated volume (A^3/atom) = 34.0
- ρ (g/cm3) = 7.4
- calculated formation energy (kcal/mol of atoms) = 0.66
- D(E_F) (states/eV/cell) = 14.013
- total magnetization (μB per cell) = 0.0
- DFT total energy (eV per atom) = -4.70
- SG = P-1

Cell: 6.2509 5.1667 10.9186 Å, 90.01 105.98 114.34°
Last column: nearest neighbours and their distance in Å.
Sites, in units of the cell vectors:
La 0.3335 0.6670 0.5583  6 Er 3.61-3.68, 3 La 3.62-3.65, 3 Pr 3.66-3.70
La 0.6665 0.3330 0.4417  6 Er 3.61-3.68, 3 La 3.62-3.65, 3 Pr 3.66-3.70
Pr 0.6681 0.3340 0.7809  7 Er 3.60-3.64, 5 La 3.64-3.70
Pr 0.3319 0.6660 0.2191  7 Er 3.60-3.64, 5 La 3.64-3.70
La 0.0000 0.0000 0.0000  8 Er 3.62-3.64, 4 Pr 3.64
Er 0.9991 0.9997 0.3333  6 La 3.61-3.68, 3 Pr 3.62-3.64, 3 Er 3.64-3.65
Er 0.3314 0.6655 0.8890  4 Pr 3.60-3.62, 4 La 3.61-3.63, 4 Er 3.65-3.67
Er 0.0009 0.0003 0.6667  6 La 3.61-3.68, 3 Pr 3.62-3.64, 3 Er 3.64-3.65
Er 0.6686 0.3345 0.1110  4 Pr 3.60-3.62, 4 La 3.61-3.63, 4 Er 3.65-3.67

The following is a PBE calculation of a relaxed structure of Nd2LuBi, from Alexandria.

- energy above the most stable polymorph in this dataset (eV per atom) = 0.025
- calculated volume (A^3/atom) = 30.2
- ρ (g/cm3) = 9.3
- calculated formation energy (kcal/mol of atoms) = -8.52
- D(E_F) (states/eV/cell) = 4.056
- total magnetization (μB per cell) = 0.0
- DFT total energy (eV per atom) = -4.85
- SG = P4/mmm

Cell: 4.9511 4.9360 4.9360 Å, 90.00 90.00 90.00°
Last column: nearest neighbours and their distance in Å.
Sites, in units of the cell vectors:
........
## Here it is
The following is a PBE calculation of a relaxed structure of TlAu2Cl8, from Alexandria.

- calculated volume (A^3/atom) = 31.8
- ρ (g/cm3) = 4.2
- formation energy from raw total energies (eV/atom) = -0.224
- D(E_F) (states/eV/cell) = 3.743
- total magnetization (μB per cell) = 0.0
- DFT total energy (eV per atom) = -2.38
- SG = C2/m

Cell: 7.5005 7.2715 7.2715 Å, 67.56 75.60 75.60°
Last column: nearest neighbours and their distance in Å.
Sites, in units of the cell vectors:
Cl 0.2195 0.3053 0.9076  1 Au 2.36
Cl 0.2742 0.4244 0.4244  1 Au 2.26
Cl 0.7805 0.6947 0.0924  1 Au 2.36
Au 0.2429 0.2438 0.2438  3 Cl 2.26-2.36
Au 0.7571 0.7562 0.7562  3 Cl 2.26-2.36
Cl 0.7460 0.1758 0.1758  1 Tl 2.39
Cl 0.7805 0.0924 0.6947  1 Au 2.36
Cl 0.7258 0.5756 0.5756  1 Au 2.26
Cl 0.2540 0.8242 0.8242  1 Tl 2.39
Tl 0.0000 0.0000 0.0000  2 Cl 2.39
Cl 0.2195 0.9076 0.3053  1 Au 2.36

The following is a PBE calculation of a relaxed structure of Y2CrCu, from Alexandria.

- calculated volume (A^3/atom) = 22.1
- ρ (g/cm3) = 5.5
- calculated formation energy (kcal/mol of atoms) = 2.25
- D(E_F) (states/eV/cell) = 3.199
- total magnetization (μB per cell) = 3.7
- DFT total energy (eV per atom) = -6.56
- SG = P4/mmm

Cell: 4.9858 4.9858 3.5572 Å, 90.00 90.00 90.01°
Last column: nearest neighbours and their distance in Å.
Sites, in units of the cell vectors:
Cu 0.0000 0.5000 0.5000  8 Y 3.06
Y 0.5000 0.5000 0.0000  4 Cr 3.06, 4 Cu 3.06
Cr 0.5000 0.0000 0.5000  8 Y 3.06
Y 0.0000 0.0000 0.0000  4 Cu 3.06, 4 Cr 3.06

The following is a PBE calculation of a relaxed structure of BaBe2Cr, from Alexandria.

- energy above the most stable polymorph in this dataset (eV per atom) = 0.392
- calculated volume (A^3/atom) = 22.6
- ρ (g/cm3) = 3.8
- calculated formation energy (kcal/mol of atoms) = 18.48
- D(E_F) (states/eV/cell) = 1.822
- total magnetization (μB per cell) = 3.7
- DFT total energy (eV per atom) = -3.95
- SG = Imm2

Cell: 5.2713 5.2713 5.2713 Å, 136.40 111.63 84.68°
Last column: nearest neighbours and their distance in Å.
Sites, in units of the cell vectors:
Cr 0.5929 0.5929 0.0000  3 Be 2.32-2.46
Ba 0.2331 0.7331 0.5000  4 Cr 3.16-3.42, 5 Be 3.20-3.50
Be 0.8900 0.8900 0.0000  2 Be 2.12, 1 Cr 2.32
Be 0.7840 0.2840 0.5000  2 Be 2.12

The following is a PBE calculation of a relaxed structure of La3Pr2Er4, from Alexandria.

- energy above the most stable polymorph in this dataset (eV per atom) = 0.000
- calculated volume (A^3/atom) = 34.0
- ρ (g/cm3) = 7.4
- calculated formation energy (kcal/mol of atoms) = 0.66
- D(E_F) (states/eV/cell) = 14.013
- total magnetization (μB per cell) = 0.0
- DFT total energy (eV per atom) = -4.70
- SG = P-1

Cell: 6.2509 5.1667 10.9186 Å, 90.01 105.98 114.34°
Last column: nearest neighbours and their distance in Å.
Sites, in units of the cell vectors:
La 0.3335 0.6670 0.5583  6 Er 3.61-3.68, 3 La 3.62-3.65, 3 Pr 3.66-3.70
La 0.6665 0.3330 0.4417  6 Er 3.61-3.68, 3 La 3.62-3.65, 3 Pr 3.66-3.70
Pr 0.6681 0.3340 0.7809  7 Er 3.60-3.64, 5 La 3.64-3.70
Pr 0.3319 0.6660 0.2191  7 Er 3.60-3.64, 5 La 3.64-3.70
La 0.0000 0.0000 0.0000  8 Er 3.62-3.64, 4 Pr 3.64
Er 0.9991 0.9997 0.3333  6 La 3.61-3.68, 3 Pr 3.62-3.64, 3 Er 3.64-3.65
Er 0.3314 0.6655 0.8890  4 Pr 3.60-3.62, 4 La 3.61-3.63, 4 Er 3.65-3.67
Er 0.0009 0.0003 0.6667  6 La 3.61-3.68, 3 Pr 3.62-3.64, 3 Er 3.64-3.65
Er 0.6686 0.3345 0.1110  4 Pr 3.60-3.62, 4 La 3.61-3.63, 4 Er 3.65-3.67

The following is a PBE calculation of a relaxed structure of Nd2LuBi, from Alexandria.

- energy above the most stable polymorph in this dataset (eV per atom) = 0.025
- calculated volume (A^3/atom) = 30.2
- ρ (g/cm3) = 9.3
- calculated formation energy (kcal/mol of atoms) = -8.52
- D(E_F) (states/eV/cell) = 4.056
- total magnetization (μB per cell) = 0.0
- DFT total energy (eV per atom) = -4.85
- SG = P4/mmm

Cell: 4.9511 4.9360 4.9360 Å, 90.00 90.00 90.00°
Last column: nearest neighbours and their distance in Å.
Sites, in units of the cell vectors: